== Input ==
-- begin --
# 1
## PmZn2Ag (PBE-GGA)

Data for a geometry-optimized PmZn2Ag structure.

a b c (Å): 4.362 4.362 4.521
angles (deg): 90.00 90.00 90.00
Space group P4/mmm (No. 123)
Asymmetric unit:
Pm  0.000  0.000  0.000 x1
Zn  0.000  0.500  0.500 x2
Ag  0.500  0.500  0.000 x1

Its offset from the most stable computed form is 16.8 kJ/mol of atoms. The formation energy is -49 kJ/mol of formula units. The size of the total moment comes out at 0.00 μB/f.u. As for the density of states at the Fermi level: 0.8009 states/eV per atom.

# 2
## NaGa2Ag (PBE-GGA)

Data for a geometry-optimized NaGa2Ag structure.

a b c (Å): 6.730 6.730 6.730
angles (deg): 90.00 90.00 90.00
Space group Fm-3m (No. 225)
Asymmetric unit:
Na  0.000  0.000  0.000 x4
Ga  0.250  0.250  0.250 x8
Ag  0.000  0.000  0.500 x4

The formation energy is 1 kJ/mol of formula units. The size of the total moment comes out at 0.00 μB/f.u. As for the density of states at the Fermi level: 0.3661 states/eV per atom.

# 3
## GdCdInPt (PBE-GGA)

Data for a geometry-optimized GdCdInPt structure.

a b c (Å): 7.014 7.014 7.014
angles (deg): 90.00 90.00 90.00
Space group F-43m (No. 216)
Asymmetric unit:
Gd  0.000  0.000  0.000 x4
Cd  0.250  0.250  0.250 x4
In  0.000  0.000  0.500 x4
Pt  0.250  0.250  0.750 x4

The formation energy is -229 kJ/mol of formula units. The size of the total moment comes out at 7.13 μB/f.u. As for the density of states at the Fermi level: 0.4512 states/eV per atom.

# 4
## ZrTe2Pb (PBE-GGA)

Data for a geometry-optimized ZrTe2Pb structure.

a b c (Å): 3.757 4.089 15.584
angles (deg): 90.00 90.00 90.00
Space group Imm2 (No. 44)
Asymmetric unit:
Zr  0.000  0.000  0.000 x2
Te  0.000  0.000  0.573 x2
Te  0.000  0.500  0.360 x2
Pb  0.000  0.500  0.736 x2

The calculation puts the raw formation energy at -45.0 kJ per mole of atoms. The size of the total moment comes out at 0.00 μB/f.u. As for the density of states at the Fermi level: 0.4432 states/eV per atom.

# 5
## LiBe (PBE-GGA)

Data for a geometry-optimized LiBe structure.

a b c (Å): 6.741 6.741 6.741
angles (deg): 90.00 90.00 90.00
Space group Pm-3n (No. 223)
Asymmetric unit:
Li  0.000  0.250  0.500 x6
Be  0.000  0.500  0.250 x6

Its offset from the most stable computed form is 125.5 kJ/mol of atoms. The formation energy is 276 kJ/mol of formula units. The size of the total moment comes out at 0.00 μB/f.u. As for the density of states at the Fermi level: 0.8915 states/eV per atom.

# 6
## InHg5Br (PBE-GGA)

Data for a geometry-optimized InHg5Br structure.

a b c (Å): 12.983 6.746 11.224
angles (deg): 90.00 113.78 90.00
Space group C2/c (No. 15)
Asymmetric unit:
In  0.000  0.000  0.000 x4
Hg  0.000  0.302  0.250 x4
Hg  0.154  0.410  0.084 x8
Hg  0.249  0.090  0.609 x8
Br  0.000  0.205  0.750 x4

The calculation puts the raw formation energy at -12.9 kJ per mole of atoms. The size of the total moment comes out at 0.00 μB/f.u. As for the density of states at the Fermi level: 0.0470 states/eV per atom.

# 7
## NaTl6Bi2 (PBE-GGA)

Data for a geometry-optimized NaTl6Bi2 structure.

a b c (Å): 10.608 5.106 10.563
angles (deg): 90.00 102.09 90.00
Space group C2/m (No. 12)
Asymmetric unit:
Na  0.000  0.000  0.000 x2
Tl  0.004  0.000  0.329 x4
Tl  0.159  0.500  0.886 x4
Tl  0.167  0.500  0.549 x4
Bi  0.175  0.500  0.213 x4

Its offset from the most stable computed form is 0.0 kJ/mol of atoms. The formation energy is -69 kJ/mol of formula units. The size of the total moment comes out at 0.00 μB/f.u. As for the density of states at the Fermi level: 0.3615 states/eV per atom.

# 8
## Mn2AgPd9 (PBE-GGA)

Data for a geometry-optimized Mn2AgPd9 structure.

a b c (Å): 3.945 3.945 11.862
angles (deg): 90.00 90.00 90.00
Space group P4/mmm (No. 123)
Asymmetric unit:
Mn  0.000  0.000  0.165 x2
Ag  0.000  0.000  0.500 x1
Pd  0.000  0.500  0.000 x2
Pd  0.000  0.500  0.327 x4
Pd  0.500  0.500  0.163 x2
Pd  0.500  0.500  0.500 x1
-- stop --

== Wanted ==
Set down the lines earlier on up to the one that holds "NaTl6Bi2 (PBE-GGA)", that line included.

== Solution ==
# 1
## PmZn2Ag (PBE-GGA)

Data for a geometry-optimized PmZn2Ag structure.

a b c (Å): 4.362 4.362 4.521
angles (deg): 90.00 90.00 90.00
Space group P4/mmm (No. 123)
Asymmetric unit:
Pm  0.000  0.000  0.000 x1
Zn  0.000  0.500  0.500 x2
Ag  0.500  0.500  0.000 x1

Its offset from the most stable computed form is 16.8 kJ/mol of atoms. The formation energy is -49 kJ/mol of formula units. The size of the total moment comes out at 0.00 μB/f.u. As for the density of states at the Fermi level: 0.8009 states/eV per atom.

# 2
## NaGa2Ag (PBE-GGA)

Data for a geometry-optimized NaGa2Ag structure.

a b c (Å): 6.730 6.730 6.730
angles (deg): 90.00 90.00 90.00
Space group Fm-3m (No. 225)
Asymmetric unit:
Na  0.000  0.000  0.000 x4
Ga  0.250  0.250  0.250 x8
Ag  0.000  0.000  0.500 x4

The formation energy is 1 kJ/mol of formula units. The size of the total moment comes out at 0.00 μB/f.u. As for the density of states at the Fermi level: 0.3661 states/eV per atom.

# 3
## GdCdInPt (PBE-GGA)

Data for a geometry-optimized GdCdInPt structure.

a b c (Å): 7.014 7.014 7.014
angles (deg): 90.00 90.00 90.00
Space group F-43m (No. 216)
Asymmetric unit:
Gd  0.000  0.000  0.000 x4
Cd  0.250  0.250  0.250 x4
In  0.000  0.000  0.500 x4
Pt  0.250  0.250  0.750 x4

The formation energy is -229 kJ/mol of formula units. The size of the total moment comes out at 7.13 μB/f.u. As for the density of states at the Fermi level: 0.4512 states/eV per atom.

# 4
## ZrTe2Pb (PBE-GGA)

Data for a geometry-optimized ZrTe2Pb structure.

a b c (Å): 3.757 4.089 15.584
angles (deg): 90.00 90.00 90.00
Space group Imm2 (No. 44)
Asymmetric unit:
Zr  0.000  0.000  0.000 x2
Te  0.000  0.000  0.573 x2
Te  0.000  0.500  0.360 x2
Pb  0.000  0.500  0.736 x2

The calculation puts the raw formation energy at -45.0 kJ per mole of atoms. The size of the total moment comes out at 0.00 μB/f.u. As for the density of states at the Fermi level: 0.4432 states/eV per atom.

# 5
## LiBe (PBE-GGA)

Data for a geometry-optimized LiBe structure.

a b c (Å): 6.741 6.741 6.741
angles (deg): 90.00 90.00 90.00
Space group Pm-3n (No. 223)
Asymmetric unit:
Li  0.000  0.250  0.500 x6
Be  0.000  0.500  0.250 x6

Its offset from the most stable computed form is 125.5 kJ/mol of atoms. The formation energy is 276 kJ/mol of formula units. The size of the total moment comes out at 0.00 μB/f.u. As for the density of states at the Fermi level: 0.8915 states/eV per atom.

# 6
## InHg5Br (PBE-GGA)

Data for a geometry-optimized InHg5Br structure.

a b c (Å): 12.983 6.746 11.224
angles (deg): 90.00 113.78 90.00
Space group C2/c (No. 15)
Asymmetric unit:
In  0.000  0.000  0.000 x4
Hg  0.000  0.302  0.250 x4
Hg  0.154  0.410  0.084 x8
Hg  0.249  0.090  0.609 x8
Br  0.000  0.205  0.750 x4

The calculation puts the raw formation energy at -12.9 kJ per mole of atoms. The size of the total moment comes out at 0.00 μB/f.u. As for the density of states at the Fermi level: 0.0470 states/eV per atom.

# 7
## NaTl6Bi2 (PBE-GGA)